Brief.
Now work out how many lines further below have the word "Rh" in them; a number is enough.
Entries.
/*
[1]
The following is a DFT calculation (PBE) of HfCo4Si after structural relaxation.

Calculated values
calculated density: 9.49 g/cm3
size of the total moment: 0.86 μB per formula unit
ΔE_f (raw): -0.119 eV/atom

Cell: 4.0740 12.5652 6.0462 Å, 90.00 90.00 90.00°
Last column: nearest neighbours and their distance in Å.
Space group Cmcm (No. 63)
Symmetry-distinct sites (fractional):
Hf (0.0000, 0.1076, 0.2500) x4  1 Co 2.39
Co (0.0000, 0.0826, 0.7500) x4  2 Si 2.21, 1 Hf 2.39
Co (0.0000, 0.2618, 0.5738) x8  3 Co 2.13-2.24, 1 Si 2.25
Co (0.0000, 0.5000, 0.0000) x4  2 Si 2.42
Si (0.0000, 0.3495, 0.2500) x4  6 Co 2.21-2.42


[2]
The following is a DFT calculation (PBE) of TlTcRh2 after structural relaxation.

Calculated values
calculated density: 13.02 g/cm3
size of the total moment: 0.00 μB per formula unit
energy relative to the elements: 294 meV/atom

Cell: 9.1564 2.8633 5.0011 Å, 90.00 98.64 90.00°
Last column: nearest neighbours and their distance in Å.
Space group C2/m (No. 12)
Symmetry-distinct sites (fractional):
Tl (0.0000, 0.0000, 0.0000) x2  6 Rh 2.79-2.90, 2 Tl 2.86, 4 Tc 2.88
Tc (0.0000, 0.5000, 0.5000) x2  6 Rh 2.75, 2 Tc 2.86, 4 Tl 2.88
Rh (0.2444, 0.0000, 0.7267) x4  4 Rh 2.70-2.86, 3 Tc 2.75, 3 Tl 2.79-2.90


Which value of size of the total moment does entry 2 give?
0.00 μB per formula unit


The highest calculated density belongs to which entry?
TlTcRh2


What did the first record say?
The following is a DFT calculation (PBE) of HfCo4Si after structural relaxation.

Calculated values
calculated density: 9.49 g/cm3
size of the total moment: 0.86 μB per formula unit
ΔE_f (raw): -0.119 eV/atom

Cell: 4.0740 12.5652 6.0462 Å, 90.00 90.00 90.00°
*/
Response.
3